2015-10-26 07:12:48

## Between two parts of the piece: quantum chemistry results
1.
Computed, not measured: a molecular structure, C54H52BrN5OS2SbTi at a distorted geometry, with ωB97M-V/def2-TZVPD.

```
117
Properties=species:S:1:pos:R:3:lowdin_spin:R:1
Ti 0.1079 -0.0117 -0.4858 1.03
C 1.8203 -3.5841 -2.5351 0.06
C 2.3966 -3.0124 -3.6794 0.03
C 2.3221 -1.6565 -3.8716 0.03
C 1.6455 -0.8672 -2.9249 0.05
N 1.1354 -1.4224 -1.7946 0.08
C 1.2204 -2.7479 -1.6236 0.02
C 1.4851 0.5606 -3.0254 0.15
C 1.8537 1.3600 -4.1136 -0.01
C 1.6370 2.7173 -4.0845 0.14
C 1.0185 3.2940 -2.9501 0.01
C 0.6590 2.4901 -1.8986 0.09
N 0.8928 1.1379 -1.9170 0.17
C -0.0598 2.9560 -0.6907 0.01
C -0.3589 4.2954 -0.4510 0.01
C -1.0797 4.6289 0.6796 0.01
C -1.4941 3.6271 1.5534 0.02
C -1.1400 2.3240 1.2693 0.02
N -0.4310 1.9948 0.1832 0.03
H 1.8453 -4.6469 -2.3444 0.00
H 2.9026 -3.6322 -4.4067 0.00
H 2.7658 -1.1994 -4.7434 0.00
H 0.7814 -3.1269 -0.7112 0.00
H 2.3052 0.9104 -4.9871 0.00
H 1.9167 3.3387 -4.9219 0.01
H 0.8189 4.3545 -2.9324 0.00
H -0.0356 5.0596 -1.1403 0.00
H -1.3214 5.6649 0.8743 0.00
H -2.0698 3.8439 2.4411 0.00
H -1.4226 1.4992 1.9144 0.00
C -7.9525 0.2252 -1.8800 0.00
C -7.2112 -0.1757 -0.6044 0.00
C -7.5132 0.8664 0.4805 0.00
C -7.7327 -1.5447 -0.1522 0.00
C -5.7006 -0.2454 -0.8159 0.00
C -4.8785 -0.6709 0.2269 0.00
C -3.5154 -0.7057 0.0478 0.00
Br -2.4192 -1.2959 1.4711 0.00
C -2.8898 -0.3235 -1.1503 0.00
O -1.5524 -0.3709 -1.2241 0.00
C -3.6999 0.0785 -2.2189 0.00
C -5.0831 0.1065 -2.0013 0.00
C -3.2292 0.4598 -3.6278 0.00
C -3.8212 -0.5488 -4.6272 0.00
C -1.7153 0.4688 -3.8320 0.00
C -3.7326 1.8734 -3.9676 0.00
H -9.0256 0.2457 -1.6863 0.00
H -7.7767 -0.4805 -2.6935 0.00
H -7.6631 1.2208 -2.2198 0.00
H -8.5861 0.9097 0.6752 0.00
H -7.1828 1.8586 0.1699 0.00
H -7.0135 0.6231 1.4186 0.00
H -8.8184 -1.5170 -0.0466 0.00
H -7.3184 -1.8376 0.8125 0.00
H -7.4806 -2.3194 -0.8773 0.00
H -5.2931 -0.9739 1.1779 0.00
H -5.7048 0.4171 -2.8249 0.00
H -3.4682 -1.5584 -4.4120 0.00
H -3.5103 -0.2886 -5.6403 0.00
H -4.9098 -0.5611 -4.6048 0.00
H -1.2634 -0.5034 -3.6346 0.00
H -1.2269 1.2071 -3.1990 0.00
H -1.5158 0.7363 -4.8718 0.00
H -4.8189 1.9364 -3.9951 0.00
H -3.3621 2.1694 -4.9505 0.00
H -3.3709 2.5991 -3.2367 0.00
N 4.2192 0.8566 -1.1181 0.00
C 3.9905 1.3159 0.1371 0.00
N 2.8268 1.3117 0.7085 0.01
C 2.9365 1.8024 2.0062 0.00
C 1.8902 1.9257 2.9163 0.00
C 2.1473 2.4338 4.1757 0.00
C 3.4365 2.8157 4.5497 0.00
C 4.4904 2.6895 3.6639 0.00
C 4.2257 2.1822 2.4008 0.00
S 5.3381 1.8983 1.0896 0.00
H 3.4112 0.7656 -1.7126 0.00
H 5.0736 1.1152 -1.5797 0.00
H 0.8972 1.6062 2.6430 0.00
H 1.3358 2.5332 4.8843 0.00
H 3.6156 3.2103 5.5402 0.00
H 5.4905 2.9821 3.9524 0.00
S 1.1332 -1.1688 1.6535 0.02
Sb 1.2720 -3.2350 2.5427 0.00
C 3.2776 -3.5339 3.0361 0.00
C 3.6514 -4.6429 3.7879 0.00
C 4.9837 -4.8279 4.1219 0.00
C 5.9339 -3.9038 3.7082 0.00
C 5.5582 -2.7979 2.9634 0.00
C 4.2267 -2.6076 2.6220 0.00
C 0.1454 -3.3599 4.2955 0.00
C 0.2157 -2.3060 5.2025 0.00
C -0.5238 -2.3587 6.3724 0.00
C -1.3349 -3.4551 6.6320 0.00
C -1.4070 -4.5026 5.7280 0.00

to what their teacher tells them are Peshmerga fighters, taking a break from the war with Isis.

In the past, fighters here had their schooling interrupted by conflict and poverty. Now they are taking night classes that could save their lives. 

According to the Independent newspaper in an article "new weapon in the fight against the organization of the Islamic state: Isis in Iraq: Peshmergas have new weapon in fight against militants - the ability to read, veterans may cost their lives," adding that " night schools can change this."

The location of the class is a closely guarded secret for the safety of the students. 

Mr Miro, 33 is a fighter on the Makhmour front, 36 miles away from the region’s capital city of Irbil. “It’s really bothering me that I don’t know how to read road signs,” he says, after his evening Kurdish lesson. “When we go to the front line or into a recaptured village there are posters warning us not to touch things that are harmful and I can’t read them.” 

Major Kamal Rashid, a representative from the Ministry of Peshmerga Affairs, said 10 Peshmerga soldiers have fallen into Isis hands because they could not read the road signs and went the wrong way. Since the start of the war around 1,300 Peshmerga have died and 7,000 have been wounded.

Major Kamal added that more education is needed so Peshmerga soldiers can benefit from the coalition’s training programme, which teaches the Peshmerga key battlefield skills. The idea behind the night school, said Major Kamal, is “to build an educated military force in Kurdistan”. The school fits around the schedules of the Peshmerga who work varied shifts but often spend 15 days on the frontline and 15 days off. They are paid around £345 per month so often must take other part-time jobs to survive.

Adding to the woes of the Peshmerga, who number more than 100,000, are salary delays stemming from a dispute between the regional government in Irbil and the government in Baghdad. Stalled public sector salaries are one of the factors plunging the region into discontent. 

Many of the Peshmerga work under the control of Kurdistan’s ruling parties instead of the Ministry of Peshmerga Affairs, threatening further disunity for the region which experienced an internecine war in the 1990s, and is now suffering from a financial crisis, security threats and internal discontent. 

Mr Miro is the oldest of six children and when he was growing up his father was a shepherd. “Because of financial problems I couldn’t even begin primary school,” he said. “My father wanted me to go but he was too old and had a problem with his eyes so I went to look after the sheep instead. I was taking care of all my siblings and I was like a father to them. I didn’t go to school for their sake, so they could study.” 

Aside from the danger, Mr Miro has another reason to study: two children aged eight and six. “My wife says it is better for my kids if I am educated. At the moment my son is helping me with school work because he is in the second class in primary school and I am in the first,” he said. 

Across the school’s courtyard, Mushir Fatih, 46, is leaving a geography class. He left school in the 1980s because of Saddam Hussein’s policies of oppression against the Kurds. “In school I was threatened. I could either join the Baath union or become a Peshmerga fighter in the mountains. I didn’t want to join the Iraqi army.” In 1991 he joined the Peshmerga. In 2013 he went back to school but his studying was once again interrupted by the war with Isis. 

He is now fighting on a frontline north of Mosul, as well as studying geography, history and Arabic at secondary school level. In school he has learned about respecting human life, he said and “to not to be like Isis”. 

These molecular data were left in the entry by mistake.
-- begin --
Molecular formula: C28H12CdCl5I2N2OS
Method: DFT, ωB97M-V with the def2-TZVPD basis set

Geometry as XYZ:
```
52
Properties=species:S:1:pos:R:3:forces:R:3:mulliken_charge:R:1
Cd -0.014593 -0.004968 0.205336 -0.177 -0.024 0.099 0.63
I 5.325345 -0.547598 0.525211 -0.097 0.014 0.261 -0.02
C 3.948231 -0.425444 2.107882 -0.004 -0.060 -0.594 -0.51
C 4.393166 -0.288568 3.414495 -0.189 0.003 0.227 -0.44
C 3.489341 -0.203717 4.447851 0.394 0.058 0.397 -0.23
I 4.245566 0.006187 6.412771 -0.097 -0.033 -0.277 -0.02
C 2.103066 -0.248313 4.206262 -0.214 -0.038 -0.255 0.95
C 1.096576 -0.162727 5.194646 -0.079 -0.017 -0.025 -0.64
C -0.224103 -0.221565 4.843573 0.083 0.002 0.088 -0.95
C -0.562215 -0.364625 3.490411 -0.013 -0.048 -0.119 -0.32
N 0.345891 -0.442303 2.549129 0.000 0.086 0.119 -0.06
C 1.656934 -0.388048 2.860203 0.171 -0.008 0.260 -0.09
C 2.587617 -0.487055 1.738268 0.245 -0.037 -0.058 0.77
O 2.193442 -0.619138 0.543417 -0.223 -0.087 0.145 -0.79
H 5.454293 -0.251480 3.618095 0.009 0.007 -0.018 0.33
H 1.382565 -0.053410 6.232256 0.013 0.013 0.005 0.16
H -1.003067 -0.151946 5.590840 -0.001 -0.021 -0.001 0.39
H -1.597951 -0.422050 3.169685 0.004 0.042 -0.006 0.46
S 0.203400 1.676460 -4.298315 -0.002 -0.078 0.185 -0.42
C 0.178626 -0.036112 -4.581836 -0.011 0.004 0.244 1.06
C 0.145865 -0.736285 -5.780503 0.007 0.015 -0.064 -0.66
C 0.122292 -2.118557 -5.729924 -0.015 0.009 -0.080 -0.38
C 0.135228 -2.793712 -4.506961 0.004 0.003 0.058 -0.68
C 0.170670 -2.099729 -3.313627 0.010 0.024 0.091 -0.36
C 0.188764 -0.706613 -3.346585 -0.009 0.057 -0.426 -0.82
N 0.215490 0.119813 -2.248940 0.097 0.075 0.207 0.06
C 0.224211 1.375995 -2.553332 -0.020 -0.213 -0.598 0.91
C 0.241313 2.464862 -1.577273 0.012 0.253 0.436 1.24
C 0.246761 3.793800 -2.013968 0.029 -0.199 -0.080 -0.87
C 0.253924 4.823492 -1.094298 -0.006 0.088 -0.003 -0.67
C 0.266757 4.520130 0.262187 0.015 0.007 0.014 -0.65
C 0.260903 3.197164 0.682308 0.024 -0.045 0.037 0.12
C 0.235231 2.121347 -0.208692 0.016 0.400 -0.314 -1.11
H 0.139591 -0.212272 -6.727836 -0.009 -0.027 -0.003 0.38
H 0.089392 -2.685747 -6.651784 0.014 0.017 0.002 0.36
H 0.118251 -3.875905 -4.494961 -0.002 0.005 0.003 0.39
H 0.187694 -2.604050 -2.356153 -0.018 -0.032 0.003 0.40
H 0.245378 4.016701 -3.076474 -0.003 0.064 0.014 0.34
H 0.250435 5.854647 -1.425868 0.009 -0.013 -0.012 0.37
H 0.277980 5.323529 0.991010 0.005 -0.010 0.002 0.37
H 0.274386 2.998021 1.750633 -0.031 0.019 -0.003 0.41
Cl -3.183628 1.483179 -0.086911 -0.043 0.150 -0.022 -0.19
C -3.258309 -0.250328 0.018408 0.283 -0.177 -0.011 1.53
C -2.063156 -0.952339 0.135490 -0.152 -0.384 0.075 -2.71
C -2.191600 -2.336628 0.226567 -0.041 0.497 -0.005 1.76
Cl -0.727073 -3.260286 0.388030 0.141 -0.219 0.008 -0.18
C -3.412582 -2.999441 0.208203 -0.039 -0.046 -0.006 -0.40
Cl -3.500147 -4.718125 0.345240 -0.011 -0.069 -0.005 -0.21
C -4.581300 -2.253478 0.079170 0.015 0.025 0.003 0.72
Cl -6.114448 -3.044255 0.049415 -0.030 -0.019 -0.007 -0.21
-- stop --

Omar Aziz, 31 works in the Ministry of Peshmerga Affair’s arms depot and delivers weapons and ammunition along the 600-mile frontline. Financial difficulties meant he couldn’t finish high school. 

My hobby now is to learn. Some people want to marry a second wife, but I say ‘I want to learn’, that’s my aim

Shkur Miro, a fighter on the Makhmour front

But the night school is helping him in his job. “If we can understand new technology, such as GPS systems, that allows us to go straight to the frontline without any questions. We also need to be able to count ammunition and read the numbers and models of weaponry.” 

Mr Aziz added that the teachers are helpful and take into account the difficulties faced by mature students. 

Peshmerga schools are not a new phenomenon. During their guerrilla war against Iraqi government forces, fighters would study in the mountains in caves, sometimes pausing classes to hide from attack, said the principal of the school whose father ran a similar school in the mountains.  

“There is nothing worthier than the Peshmerga except for God,” said Mr Miro, showing The Independent his exercise books filled with lines of carefully written letters. “My hobby now is to learn. Some people want to marry a second wife, but I say ‘I want to learn’, that’s my aim.”